Contents:
-- begin --
Entry from Alexandria via LeMat-Bulk: a geometry-optimized Tl3CuNi structure (GGA-PBE).

Cell: 5.084 5.084 5.084 Å, 90.00 90.00 90.00°
Element x y z (fractional)
Tl 0.000 0.500 0.000
Ni 0.000 0.000 0.000
Cu 0.500 0.500 0.500
Tl 0.500 0.000 0.000
Tl 0.000 0.000 0.500

Properties
Crystal system: cubic
Total magnetization, μB per formula unit: 0.00
VASP energy, eV/atom: -2.997

=====

# TbCePmHg | the Alexandria database | GGA-PBE | optimized geometry
data_TbCePmHg
_cell_length_a 5.4550
_cell_length_b 5.4550
_cell_length_c 5.4550
_cell_angle_alpha 60.00
_cell_angle_beta 60.00
_cell_angle_gamma 60.00
_symmetry_space_group_name_H-M 'P 1'
_symmetry_Int_Tables_number 1
loop_
_symmetry_equiv_pos_as_xyz
'x,y,z'
loop_
_atom_site_label
_atom_site_fract_x
_atom_site_fract_y
_atom_site_fract_z
Tb1 0.7500 0.7500 0.7500
Hg1 0.5000 0.5000 0.5000
Ce1 0.2500 0.2500 0.2500
Pm1 0.0000 0.0000 0.0000
# E_form: -0.01 eV/atom
# Space-group type: F-43m, No. 216
-- stop --
Brief:
Transcribe the contents further up exactly.
Done:
Entry from Alexandria via LeMat-Bulk: a geometry-optimized Tl3CuNi structure (GGA-PBE).

Cell: 5.084 5.084 5.084 Å, 90.00 90.00 90.00°
Element x y z (fractional)
Tl 0.000 0.500 0.000
Ni 0.000 0.000 0.000
Cu 0.500 0.500 0.500
Tl 0.500 0.000 0.000
Tl 0.000 0.000 0.500

Properties
Crystal system: cubic
Total magnetization, μB per formula unit: 0.00
VASP energy, eV/atom: -2.997

=====

# TbCePmHg | the Alexandria database | GGA-PBE | optimized geometry
data_TbCePmHg
_cell_length_a 5.4550
_cell_length_b 5.4550
_cell_length_c 5.4550
_cell_angle_alpha 60.00
_cell_angle_beta 60.00
_cell_angle_gamma 60.00
_symmetry_space_group_name_H-M 'P 1'
_symmetry_Int_Tables_number 1
loop_
_symmetry_equiv_pos_as_xyz
'x,y,z'
loop_
_atom_site_label
_atom_site_fract_x
_atom_site_fract_y
_atom_site_fract_z
Tb1 0.7500 0.7500 0.7500
Hg1 0.5000 0.5000 0.5000
Ce1 0.2500 0.2500 0.2500
Pm1 0.0000 0.0000 0.0000
# E_form: -0.01 eV/atom
# Space-group type: F-43m, No. 216